A few days ago, a friend put me on the spot and asked me to name my five favorite films of 2011 thus far. I wriggled out after a cursory mention of “Drive” – largely because too many as-yet-unreleased films from the festival circuit swam into my head, clashing with 2010 festival favorites that only hit the real world this year, and mentally sorting through them was entirely too confusing an exercise after a few pints in the sun. I choose to reserve such crazy-making activity for December, when the surrounding chaos makes it a positively soothing practice.
Another reason I held off: it reminded me that this year, for this first time, I”m going to have to make such a list on more than one occasion, as two critics” groups will be requiring my ballot for their upcoming awards. (In a dark, sequin-strewn corner, “Burlesque” weeps over the fact that I wasn”t granted such influence a year ago.) For someone who has made a longstanding hobby and partial career out of bemoaning the mistakes made by awards bodies, this is a slightly disorienting turn of events – however much I might disagree with the critical collective”s choices, I shall now have to accept a tiny percentage point of responsibility for the outcome.
This in turn brings up the hypothetical question I”ve asked myself ever since I learned how Oscar voting works: if I had a ballot, would I fill it out honestly or tactically? Would I use it to declare my love for what I think are the best films and individual achievements of the year, no matter how far off the beaten path, or would I instead limit it to the films I like that still have a conceivable chance of being recognized by the larger group – thereby potentially exerting a greater degree of influence on the actual award? Would a Best Picture vote last year for my beloved “White Material” have been a wasted one, or a principled one?
I have no idea if these are questions that bother Academy members (or indeed London Film Critics” Circle members) on an annual basis, but they bother me, and will likely do so more than usual this season. For what they do is force judgments of what may or may not appeal to the majority that are not only unreliable – I”ll raise my hand and admit to thinking “Black Swan” had little chance of major-category Oscar recognition when I saw it at Venice last year – but have a nasty habit of narrowing the conversation at a time when it couldn”t be more essential to expand it.
It”s almost every awards pundit”s self-defeating catch-22 that we mourn the films and artists that”ll never get the recognition that they deserve – even as we strike them from the contenders list because they”re not “that type” of film or artist. How do we hope for the “awards movie” bracket to widen if we define it so narrowly from the outside? It”s the deluded (not to mention conceited) critic or blogger who imagines that his passions hold any sway on voters during Oscar season, but that isn”t an automatic argument for accepting your lot and shutting up.
I”m sure most Academy members don”t give much thought to whether or not something is an “Oscar movie” before casting their vote for it – one need only draw up a Venn diagram listing the common points between “The Hurt Locker” and “The King”s Speech,” or Sandra Bullock in “The Blind Side” and Natalie Portman in “Black Swan,” to know that most voters don”t know what they”re looking for until they find it. Their “finding it” may entail some collaborative effort between canny campaigners, critics and paying audiences, but enough offbeat nominees – from “Cries and Whispers” to “Pulp Fiction” to “Winter”s Bone” – have occurred over the years to prove that presuming narrow-mindedness doesn”t help anyone in this game.
Already at this early point in the season, I”ve caught myself arguing with readers and fellow pundits that, say, “Drive” doesn”t have a chance of a Best Picture nomination – citing the Academy”s historical resistance to hardboiled exercises in style, and not persuaded otherwise by the film”s disappointing box office – but I must remind myself that it”s in no one”s interest to shut down potentially exciting lines of conversation, however deeply embedded one”s scepticism.
Conversely, it”s important to avoid mythologizing the awards season as some kind of Holy Grail for any quality cinematic work, and regarding it as either the film”s or the voters” failure if it doesn”t find it. It”s natural to want the films and people we love to benefit from the exposure and future opportunities that Oscar (or even critics” award) approval affords, but there”s something noble and beautiful about the misfit achievements that are too prickly, too populist, too exotic or simply too little-seen to get there, that are destined to find future champions on their own ungilded merits.
The romantic in me would love, for example, to see “Certified Copy” star Juliette Binoche make awards headway for the richest, wittiest, most tender and most complicated performance released to US theatres in 2011 – but while I can protest the near-inevitability of her absence from the season”s major Best Actress fields (and there I am making assumptions for the voting majority again, though I have pragmatic concerns of finance and release dates on my side), I think such films can be as flattered by their exclusion as they would be by their inclusion.
All of which is to say I”m not sure there”s a right answer to the “if I had a ballot” questions I asked earlier. Many Oscar voters are doubtless lucky enough to find their favorite films comfortably in play on an annual basis, but for those who don”t, their choice is to treat the voting process as a compromise-heavy team effort with which to find the right films for an appreciative larger audience, or as a lonely soapbox with which to voice their passions into a void – and there”s honor in both strategies.
Many took issue with the Academy”s previous Best Picture balloting system – whereby a voter”s Top Ten could wind up boosting the tally of a plausible contender, even as they reserved their #1 spot for a more esoteric title – but it was one designed to eliminate concern over potentially wasted ballots. The new system, with its emphasis on number-one votes, may or may not change how such voters treat their ballots – I suspect there will still be the odd stray vote for something as left-of-center as “Meek”s Cutoff” floating around the sorting room at PriceWaterhouseCoopers.
Next to the text, the page also holds calculated crystals:
********
This entry pairs a crystal structure of CdIn16Ga12 with its simulated powder diffraction line list. Radiation: Cu Ka. Structure: a structure optimized by DFT (PBE).

Crystal structure
Lattice parameters (Å, degrees): 10.2904 10.2904 9.0857 108.71 108.71 115.68
Sites, in units of the cell vectors:
Cd: 0.0000 0.0000 0.0000
In: 0.0070 0.4055 0.6175
In: 0.0397 0.0397 0.6620
In: 0.0974 0.6988 0.9985
In: 0.1107 0.3443 0.3065
In: 0.2949 0.9829 0.9081
In: 0.3059 0.3059 0.6218
In: 0.3413 0.6818 0.3100
In: 0.3443 0.1107 0.3065
In: 0.3811 0.6950 0.7082
In: 0.4055 0.0070 0.6175
In: 0.6818 0.3413 0.3100
In: 0.6886 0.6886 0.3021
In: 0.6950 0.3811 0.7082
In: 0.6965 0.6965 0.9489
In: 0.6988 0.0974 0.9985
In: 0.9829 0.2949 0.9081
Ga: 0.0438 0.8550 0.3090
Ga: 0.0639 0.6769 0.4998
Ga: 0.3275 0.3275 0.1099
Ga: 0.3359 0.5305 0.9554
Ga: 0.4910 0.8793 0.1208
Ga: 0.5217 0.5217 0.4961
Ga: 0.5305 0.3359 0.9554
Ga: 0.6769 0.0639 0.4998
Ga: 0.6923 0.8805 0.6666
Ga: 0.8550 0.0438 0.3090
Ga: 0.8793 0.4910 0.1208
Ga: 0.8805 0.6923 0.6666

Largest 10 diffraction maxima, in order of rising 2θ, 2θ from 10° to 90°:
2theta, Rel. int.
30.79, 227
32.12, 183
32.72, 1000
34.32, 388
34.44, 974
35.02, 467
35.56, 603
36.17, 393
37.19, 382
40.04, 153

----------

Entry 1:
For Li5Nd4Hg6, a DFT-relaxed cell (PBE, Alexandria) gives the simulated powder diffractogram in this record (CuKα).

Crystal structure
```
data_Li5Nd4Hg6
_space_group_name_H-M_alt 'C m c 21'
_space_group_IT_number 36
_cell_length_a 4.817
_cell_length_b 22.211
_cell_length_c 13.958
_cell_angle_alpha 90.00
_cell_angle_beta 90.00
_cell_angle_gamma 90.00
loop_
_space_group_symop_operation_xyz
'x,y,z'
'-x,-y,z+1/2'
'-x,y,z'
'x,-y,z+1/2'
'x+1/2,y+1/2,z'
'-x+1/2,-y+1/2,z+1/2'
'-x+1/2,y+1/2,z'
'x+1/2,-y+1/2,z+1/2'
loop_
_atom_site_label
_atom_site_type_symbol
_atom_site_fract_x
_atom_site_fract_y
_atom_site_fract_z
Li1 Li 0.000 0.037 0.000
Li2 Li 0.000 0.161 0.328
Li3 Li 0.000 0.166 0.959
Li4 Li 0.000 0.193 0.628
Li5 Li 0.000 0.319 0.994
Nd1 Nd 0.000 0.319 0.298
Nd2 Nd 0.000 0.364 0.643
Nd3 Nd 0.000 0.452 0.861
Nd4 Nd 0.000 0.457 0.136
Hg1 Hg 0.000 0.050 0.206
Hg2 Hg 0.000 0.081 0.791
Hg3 Hg 0.000 0.097 0.503
Hg4 Hg 0.000 0.229 0.129
Hg5 Hg 0.000 0.272 0.815
Hg6 Hg 0.000 0.420 0.445
```

Largest 8 diffraction maxima, in order of falling intensity, 2θ = 10–90°:
- 33.53°, intensity 100
- 37.33°, intensity 55
- 31.92°, intensity 40
- 26.94°, intensity 38
- 37.73°, intensity 36
- 22.93°, intensity 33
- 24.04°, intensity 29
- 28.06°, intensity 26

---

Entry 2:
For Li2Nd3Hg5, a DFT-relaxed cell (PBE, Alexandria) gives the simulated powder diffractogram in this record (CuKα).

Crystal structure
```
data_Li2Nd3Hg5
_space_group_name_H-M_alt 'P 4/m b m'
_space_group_IT_number 127
_space_group_name_Hall '-P 4 2ab'
_cell_length_a 11.018
_cell_length_b 11.018
_cell_length_c 3.966
_cell_angle_alpha 90.00
_cell_angle_beta 90.00
_cell_angle_gamma 90.00
loop_
_atom_site_label
_atom_site_type_symbol
_atom_site_fract_x
_atom_site_fract_y
********
So much for the calculated crystals:
Whoever casts such votes will be content knowing that they probably won”t wind up counting for much, but it”s when misfit voters happen to land upon the same cause that widely unanticipated against-the-grain nominations like Fernando Meirelles” 2003 Best Director bid for “City of God” happen.
There are more strong, idiosyncratic creative personalities in the Academy than we generally give it credit for when we talk about its “type” of film – I have a hunch that AMPAS member Michael Haneke wasn”t fretting over the relative superiority of “The King”s Speech” over “The Social Network” when filling out his Best Picture ballot, for example – even if their tastes may be too scattered to exert a consistent influence. Perhaps there aren”t any “Oscar movies” – just lucky ones.
Check out my updated predictions here.